By HiExpat Team

1. Can you talk to us about your family, father and wife?
I´m married to Kariam Sabando who is a doctor as well and we have 2 children, our son that will graduate as a lawyer son and our younger daughter that´s 4 years old said that she wants to be a Neurosurgeon. We like going to the beach and love sports. I try to maintain a balance in the phases of my life and my family is always one of my priorities.
It is an international award given by the International Organization for Medical Research Training (IOCIM), a distinction to give merit to a constant effort and dedication for outstanding work and exemplary performance exhibited throughout professional life, intending to provide quality health for the nations. This award was given to me in Puerto Iguazú-Argentina 2019. We attached a photo.
It is worth mentioning that in 2022 I received another distinction (Award) by the same organization: Prize to MEDICAL SUCCESS (IOCIM AWARD TO MEDICAL SUCCESS) on May 28th, 2022 in Punta Cana, Dominican Republic.
I should mention that I also currently hold two scientific representations in my country: I have been the current Neurosurgery Council for AO SPINE LATINOAMERICA in Ecuador for the last 3 years and also the current representative of the South Zone of the Spine chapter of the FLANC (Latin American Federation of Neurosurgery Societies).
3. We want you to tell us the level of effectiveness of your surgical procedures and the technique you use and where you acquired it.
The effectiveness of the procedures in my specialty of Neurosurgery and High specialty of Spine Surgery is approximately 97% in brain procedures and close to 99% in spine procedures. I can say that the patients I operate on do not seek me out because of some publicity but because they are recommended by another patient I have operated on or by another medical colleague who knows my results. Fortunately, I have not had any problems with any patient in my career since I am not only characterized by having high technical effectiveness with optimal results but also for knowing how to indicate with good judgment and honesty the procedures. You can check my Google business reviews.
### Crystal structures that have nothing to do with the text
+++
(1)
This entry pairs a crystal structure of Li2Mg2Ga with its calculated X-ray diffraction stick pattern. Radiation: Cu Kα (λ = 1.5418 Å). Structure: a GGA-PBE-relaxed structure.

Main lines, low angle first (10° ≤ 2θ ≤ 90°):
d/Å  2θ (°)  Rel. int.
6.426  13.8  72.5
4.897  18.1  53.0
4.311  20.6  70.6
2.957  30.2  32.2
2.732  32.8  27.9
2.570  34.9  32.7
2.495  36.0  96.7
2.289  39.4  100.0
1.790  51.0  21.5
1.397  67.0  26.0

Atomic structure:
```
Li2Mg2Ga
1.0
-1.612 2.494 12.851
1.612 -2.494 12.851
1.612 2.494 -12.851
Li Mg Ga
4 4 2
direct
0.153 0.903 0.250
0.277 0.027 0.250
0.723 0.973 0.750
0.847 0.097 0.750
0.053 0.303 0.750
0.449 0.199 0.250
0.551 0.801 0.750
0.947 0.697 0.250
0.361 0.611 0.750
0.639 0.389 0.250
```

***

(2)
This entry pairs a crystal structure of La2IrS2 with its calculated X-ray diffraction stick pattern. Radiation: Cu Kα (λ = 1.5418 Å). Structure: a GGA-PBE-relaxed structure.

Main lines, low angle first (10° ≤ 2θ ≤ 90°):
d/Å  2θ (°)  Rel. int.
4.600  19.3  58.7
2.829  31.6  86.9
2.811  31.8  100.0
2.410  37.3  23.2
2.387  37.7  21.8
2.000  45.3  31.7
1.825  50.0  19.3
1.630  56.5  40.6
1.619  56.9  28.1
1.405  66.5  17.5

Atomic structure:
```
La2IrS2
1.0
-2.829 2.829 3.950
2.829 -2.829 3.950
2.829 2.829 -3.950
La Ir S
2 1 2
direct
0.250 0.750 0.500
0.750 0.250 0.500
0.000 0.000 0.000
0.295 0.295 0.000
0.705 0.705 0.000
```

***

(3)
This entry pairs a crystal structure of Tb3RhI3 with its calculated X-ray diffraction stick pattern. Radiation: Cu Kα (λ = 1.5418 Å). Structure: a GGA-PBE-relaxed structure.

Main lines, low angle first (10° ≤ 2θ ≤ 90°):
d/Å  2θ (°)  Rel. int.
3.200  27.9  13.5
3.087  28.9  52.6
3.061  29.2  100.0
2.941  30.4  32.8
2.429  37.0  18.6
2.409  37.3  14.2
2.224  40.6  14.5
2.220  40.6  40.4
2.099  43.1  28.3
1.736  52.7  19.5

Atomic structure:
```
Tb3RhI3
1.0
8.961 0.000 0.000
0.000 4.198 0.000
-0.745 0.000 12.347
Tb Rh I
6 2 6
direct
0.099 0.250 0.321
0.135 0.250 0.872
0.261 0.750 0.104
0.739 0.250 0.896
0.865 0.750 0.128
0.901 0.750 0.679
0.057 0.250 0.095
0.943 0.750 0.905
0.145 0.250 0.606
0.357 0.750 0.363
0.423 0.750 0.867
0.577 0.250 0.133
0.643 0.250 0.637
0.855 0.750 0.394
```

* * * * *

Theoretical X-ray diffraction stick pattern
Compound: NdI3
Radiation: Cu Kα (weighted mean of Kα1 and Kα2)
Structure: a structure optimized by DFT (GGA-PBE)
Lines closer than 0.1° are merged.

Structure:
```
NdI3
1.0
14.782 0.000 0.000
0.000 4.214 0.000
0.000 0.000 10.989
Nd I
4 12
Direct
0.230 0.250 0.057
0.270 0.750 0.557
0.730 0.250 0.443
0.770 0.750 0.943
0.114 0.250 0.559
0.132 0.750 0.885
0.144 0.750 0.242
0.356 0.250 0.742
0.368 0.250 0.385
0.386 0.750 0.059
0.614 0.250 0.941
0.632 0.750 0.615
0.644 0.750 0.258
0.856 0.250 0.758
0.868 0.250 0.115
0.886 0.750 0.441
```

Largest 10 diffraction maxima, low angle first, 10° ≤ 2θ ≤ 90°:
+++
### So much for the crystal structures
My two specialties of Neurosurgery and High specialty of Spine Surgery were performed at the National Institute of Neurology and Neurosurgery "Manuel Velasco Suarez" in Mexico City, the main hospital for these specialties of the UNAM (National Autonomous University of Mexico). I performed these specialties from 2008 to 2016. Attached titles and on the website you can download apostilled titles and curriculum.
In addition, I have made improvements in minimally invasive techniques at the forefront of the world in the United States, Brazil, and Colombia. I keep myself in constant technical and scientific evolution.
4. Also, about the technology you use, tell us a little bit about it
In my brain and spine procedures, I use state-of-the-art technology that fortunately exists in Ecuador in almost all our provinces for the past 8-10 years, which allows us to perform first-world surgeries at a lower cost for being a developing country.
Such technologies include: Neurosurgical microscope, state-of-the-art endoscopes and exoscopes, ultrasonic aspirator, neuronavigation, and minimally invasive tubular systems. This technology reduces the risk of injury and prioritizes the least damage to the tissues, thus optimizing the results and ensuring that patients have a speedy recovery and rapid return to normal life.
# Between two parts of the page: materials data
/*
Starting from a structure optimized by DFT (PBE), the powder diffractogram of RbSrCl3 was computed for λ = 1.5418 Å (Cu Kα).
Kinematic intensities with the Lorentz-polarization factor, no thermal factor.

Main lines, by intensity (2θ = 10–80°):
| two_theta | d (Å) | I_rel |
| --- | --- | --- |
| 33.9 | 2.641 | 100.0 |
| 21.1 | 4.214 | 86.4 |
| 23.0 | 3.865 | 65.3 |
| 40.4 | 2.232 | 59.2 |
| 31.4 | 2.849 | 51.6 |
| 15.6 | 5.697 | 51.5 |
| 39.3 | 2.293 | 49.6 |
| 26.1 | 3.409 | 46.0 |

Lattice parameters (Å, degrees): 8.4980 8.4980 8.4980 54.11 54.11 54.11
Fractional coordinates of all 10 atoms:
Rb 0.1404 0.1404 0.1404
Rb 0.8596 0.8596 0.8596
Sr 0.3431 0.3431 0.3431
Sr 0.6569 0.6569 0.6569
Cl 0.0556 0.7031 0.4681
Cl 0.2969 0.5319 0.9444
Cl 0.4681 0.0556 0.7031
Cl 0.5319 0.9444 0.2969
Cl 0.7031 0.4681 0.0556
Cl 0.9444 0.2969 0.5319

Starting from a structure optimized by DFT (PBE), the powder diffractogram of Pr6GaRu was computed for λ = 1.5418 Å (Cu Kα).
Kinematic intensities with the Lorentz-polarization factor, no thermal factor.

Main lines, by intensity (2θ = 10–80°):
| two_theta | d (Å) | I_rel |
| --- | --- | --- |
| 28.9 | 3.087 | 100.0 |
| 37.4 | 2.407 | 36.0 |
| 45.1 | 2.011 | 26.4 |
| 48.6 | 1.872 | 23.7 |
| 26.8 | 3.331 | 18.1 |
| 54.4 | 1.685 | 14.0 |
| 53.2 | 1.722 | 8.6 |
| 23.1 | 3.848 | 8.6 |

Lattice parameters (Å, degrees): 6.9594 6.9706 7.7762 90.07 116.51 119.94
Fractional coordinates of all 8 atoms:
Pr 0.0246 0.0803 0.2480
Pr 0.3037 0.7235 0.2478
Pr 0.3312 0.5554 0.7521
Pr 0.6688 0.4446 0.2479
Pr 0.6963 0.2765 0.7522
Pr 0.9754 0.9197 0.7520
Ga 0.5000 0.0000 0.0000
Ru 0.5000 0.5000 0.5000

Starting from a structure optimized by DFT (PBE), the powder diffractogram of KAg4Br5 was computed for λ = 1.5418 Å (Cu Kα).
Kinematic intensities with the Lorentz-polarization factor, no thermal factor.

Main lines, by intensity (2θ = 10–80°):
| two_theta | d (Å) | I_rel |
| --- | --- | --- |
| 19.3 | 4.602 | 100.0 |
| 13.1 | 6.774 | 86.4 |
| 25.3 | 3.516 | 80.5 |
| 27.6 | 3.233 | 70.8 |
| 37.0 | 2.429 | 70.5 |
| 26.4 | 3.376 | 69.6 |
| 44.9 | 2.019 | 66.1 |
| 33.9 | 2.647 | 41.3 |

Lattice parameters (Å, degrees): 8.1295 12.2499 6.9725 90.00 90.00 90.00
Fractional coordinates of all 20 atoms:
K 0.2500 0.2500 0.0079
K 0.7500 0.7500 0.9921
Ag 0.0717 0.7500 0.5758
Ag 0.2500 0.5566 0.0289
Ag 0.2500 0.9434 0.0289
Ag 0.4283 0.7500 0.5758
Ag 0.5717 0.2500 0.4242
Ag 0.7500 0.0566 0.9711
Ag 0.7500 0.4434 0.9711
Ag 0.9283 0.2500 0.4242
Br 0.0066 0.0724 0.2314
Br 0.0066 0.4276 0.2314
Br 0.2500 0.7500 0.2517
Br 0.4934 0.0724 0.2314
Br 0.4934 0.4276 0.2314
Br 0.5066 0.5724 0.7686
Br 0.5066 0.9276 0.7686
Br 0.7500 0.2500 0.7483
Br 0.9934 0.5724 0.7686
Br 0.9934 0.9276 0.7686

Starting from a structure optimized by DFT (PBE), the powder diffractogram of CsHAuF6 was computed for λ = 1.5418 Å (Cu Kα).
Kinematic intensities with the Lorentz-polarization factor, no thermal factor.

Main lines, by intensity (2θ = 10–80°):
| two_theta | d (Å) | I_rel |
*/
5. Can you tell us Dr. Duval, how we can reach you and make an appointment with you?
The phone number for appointments is 0968414286, which is active 24 hours on WhatsApp as well as landline calls. In the early morning hours, we also have priority attention, thus achieving a high rate of availability.
You can also send us a message to our emails: and
You can find us on Google and visit our website, which has a direct link to WhatsApp. IT IS IMPORTANT TO NOTE THAT OUR WEBSITE HAS THE OPTION OF VISUALIZATION IN ENGLISH (by scrolling the main menu in the upper right quadrant). On our Website, you can find among other things academic formation, titles of both specialties and their registrations, curriculum, procedures, etc.